Arabian Nights
Adapted from original stories by Dominic Cooke
13th to 15th March 2014 | Lincoln Drill Hall
Su Toogood directed this ambitious and spectacular show which featured a cast of thousands, colourful costumes, music, belly dancing, executions, monsters, magic and more!
Arabian Nights – Or One Thousand and One Nights – is an ancient collection of tales, many of which are familiar to modern audiences: Ali Baba and the Forty Thieves, for instance, and The Voyages of Sinbad the Sailor.
Sasha Drennan took the leading role of Shahrazad, the young woman who marries the cruel king and tells him magical stories every night to save herself from being executed like hundreds of brides before her.
As usual we welcomed lots of new faces to our cast as well as not one, but two dancing groups who helped us to give the proceedings an authentically Middle Eastern feel.
As is often the case we made no money on the production but we were pleased with some of the feedback we received from our audiences! Here’s a brief selection:
“It was very entertaining, very professional and looked so good. You must have put in so much work on the costumes, apart from everything else. Congratulations!” Pat Shirley
“Truly a brilliant show. Beautifully crafted. It really seemed to flow so well. So many wonderful performances. The time really flew by. Great ending scenes. So effective. We really did enjoy it so much and talked about it all the way home and much of this morning too. Such a wonderful team piece with so many lovely touches. Costumes look stunning too. Congratulations to you and everyone involved.” Graham Turner
“Congratulations on a wonderful performance of Arabian Nights. It was a real treat and obvious that everyone must have worked really hard to put on such an entertaining play.” Jane Lund
“Su Toogood’s competent direction of Arabian Nights with a cast of what seemed like thousands (eat your heart out Attenborough) was a pleasure to watch. Magical and entertaining, Su’s vision was brought to fruition by her very talented cast complemented by exquisite costumes. An evening well spent, all in all we were delighted and would watch it again. Congratulations Common Ground.” Val & Brian Petty
“Anybody coming to see you all over the next two days is going to see a really great and fun production. The whole thing flies by and I was mesmerised by it a bit – a real escape into imagination.” Andrew Jordan
“It was interesting to see the show from a new perspective – it was a large cast to manage and not the easiest space to work in, especially with limited rehearsal time in it. You must have worked hard.” Beverley Anthony (who directed Arabian Nights at Nottingham Lace Market)
We were very sorry to lose a cast member during the rehearsal process: long-time member Sheila Thomas was to have played some small roles in the stories but sadly passed away in February 2014.

Royal household:
King Shahrayar – Jez Ashberry
The Vizier – John Leighton
Shahrazad – Sasha Drennan
Dinarzad – Marea Reid
Story Characters:
Christopher Adams – Tailor, Es-Sindibad the Sailor,
Haroun, Old Wise Man
Ruth Andrews – Talking Bird
Vicky Ashberry – Druggist, Doctor’s Maid,
Page, Old Religious Woman
Kate Bartlett – Mule, Chief of Police, Girl, Puppeteer, Envious Sister
Kevin Brown – Ali Baba’s Son, Steward, Merchant, Cook
Jose Bruce – Marjana, Little Beggar, Youngest Sister
Alison Clubley – Ali Baba’s Wife, Customer
Brenda Hartley -Kasim’s Wife, Merchant
John Kirsopp -Baba Mustapha, King, Sidi 1
David Lintin – Ali Baba, Merchant, Abu Hassan
Janet Marshall – Thief, Rukh, Mother, Customer, Envious Sister
Chris Matthews – Executioner, Kasim, Bahman
Andrew Mitchell – Merchant, Es-Sindibad the Porter, Sidi 2, Perviz
Martin Noble – Captain, Watchman
Karen Ryan – Thief, Amina
Bob Shirley – Passer-by, King, Baker, Steward
Jenna Starar – Queen, Thief, Tailor’s Wife, Bride
Christine Walker – Mule, Hangman, Eagle, Marriage Broker, Ghoul, Sorceress
Naomi Watkins – Doctor’s Wife, Steward’s Wife
All other parts played by members of the company
Director – Su Toogood
Director’s Assistant – Carolyn Jones
• Someone pasted records of crystals at this point:
-- begin --
VASP calculation (meta-GGA r2SCAN) on an optimized crystal structure of Eu2MgTl.

Geometry as POSCAR:
```
Eu2MgTl
1.0
-1.753 -4.920 2.103
-3.926 -2.984 -2.717
1.396 -4.815 -2.563
Tl Mg Eu
1 1 2
Direct
0.000 0.000 0.000
0.500 0.500 0.500
0.250 0.250 0.250
0.750 0.750 0.750
```

Results
Its size of the total moment is 3.553 μB per atom. The space group is Fm-3m. The calculation puts the formation energy at -0.306 eV per atom.

~~~~~

Computed, not measured: PmYZn2 after structural relaxation at the r²SCAN level of DFT.

Cell lengths 5.0997, 5.0997, 5.0997 Å; angles 60.00, 60.00, 60.00 degrees
Sites, in units of the cell vectors:
Pm (0.5000, 0.5000, 0.5000)
Y (0.0000, 0.0000, 0.0000)
Zn (0.2500, 0.2500, 0.2500)
Zn (0.7500, 0.7500, 0.7500)

- Space group: Fm-3m


Computed, not measured: Yb3Pm after structural relaxation at the r²SCAN level of DFT.

Cell lengths 5.6047, 5.6047, 5.6047 Å; angles 60.00, 60.00, 60.00 degrees
Sites, in units of the cell vectors:
Yb (0.2500, 0.2500, 0.2500)
Yb (0.7500, 0.7500, 0.7500)
Yb (0.5000, 0.5000, 0.5000)
Pm (0.0000, 0.0000, 0.0000)

- Space group: Fm-3m


Computed, not measured: YbPmZn2 after structural relaxation at the r²SCAN level of DFT.

Cell lengths 5.0420, 5.0420, 5.0420 Å; angles 60.00, 60.00, 60.00 degrees
Sites, in units of the cell vectors:
Yb (0.0000, 0.0000, 0.0000)
Pm (0.5000, 0.5000, 0.5000)
Zn (0.2500, 0.2500, 0.2500)
Zn (0.7500, 0.7500, 0.7500)

- Space group: Fm-3m


Computed, not measured: PmZn3 after structural relaxation at the r²SCAN level of DFT.

Cell lengths 6.4366, 6.4366, 4.3368 Å; angles 90.00, 90.00, 120.00 degrees
Sites, in units of the cell vectors:
Pm (0.3333, 0.6667, 0.7500)
Pm (0.6667, 0.3333, 0.2500)
Zn (0.1420, 0.2839, 0.2500)
Zn (0.7161, 0.8580, 0.2500)
Zn (0.1420, 0.8580, 0.2500)
Zn (0.8580, 0.7161, 0.7500)
Zn (0.2839, 0.1420, 0.7500)
Zn (0.8580, 0.1420, 0.7500)

- Space group: P6_3/mmc


So what do the calculations give for formation energy? Going down the list: -0.364 0.086 -0.370 -0.337 eV/atom.

~~~~~

Below is an optimized crystal structure of Li3MnVP3O12, with properties calculated at the PBE+U level.

## Properties
- ΔH_f (0 K) (eV per atom) = -2.61
- VASP energy (eV/atom) = -7.0059
- energy above the most stable polymorph in this dataset (meV/atom) = 48
- total energy after the MP2020 corrections (eV per cell) = -606.92
- spin magnetization (μB/f.u.) = 6.0

Unit cell a=8.766 b=8.792 c=14.455 alpha=73.65 beta=74.58 gamma=61.03
Atoms (fractional coordinates):
Li1 0.140 0.013 0.112
Li2 0.499 0.000 0.000
Li3 0.235 0.110 0.638
Li4 0.746 0.253 0.249
Li5 0.358 0.487 0.386
Li6 0.267 0.392 0.863
Li7 0.733 0.608 0.137
Li8 0.641 0.515 0.612
Li9 0.251 0.751 0.750
Li10 0.996 0.503 0.502
Li11 0.764 0.892 0.364
Li12 0.859 0.986 0.888
Mn1 0.822 0.327 0.035
Mn2 0.180 0.671 0.965
Mn3 0.925 0.427 0.715
Mn4 0.321 0.829 0.535
V1 0.577 0.067 0.787
V2 0.682 0.175 0.463
V3 0.075 0.571 0.287
V4 0.422 0.932 0.213
P1 0.133 0.332 0.117
P2 0.366 0.170 0.382
P3 0.182 0.066 0.877
-- stop --
• So much for the records of crystals:
Stage Manager – Nick Dunnett
Stage Crew – Mike Grimshaw, Adam Holman
Sound & Lighting – Bill Bartlett, Lincoln Drill Hall
Wardrobe – Carolyn Jones, Su Toogood
Set & Props – Beverley Anthony, Bill Bartlett, Nick Dunnett, Su Toogood
FOH Manager – Elaine Howell
Photography – Bill Bartlett
Poster Design -Brenda Hartley
Programme/Publicity – Jez Ashberry
Shimmychics – Claire Johnson, Barbara Pearce, Diane O’Rourke, Nicky Gouldson
Sheherazade Dancers – Connie Hurd, Helen Reed, Rachel Harvey, Jenny Whiffing, Beverly Thompson, Charlotte Odell